American Indians Committee

Arkansas State Daughters of the American Revolution

Dear Chapter Regent and Chapter American Indian Committee Chairman!

We live in the heart of this country’s original hosts, the American Indians. And we sometimes forget who these people are and what their existing needs are today. I’m thankful to NSDAR for making the book “Forgotten Patriots” available and to include those Native Americans who fought alongside yours and my ancestors during the American Revolution.

┌──
C3H12NO | ωB97M-V/def2-TZVPD

Structure (XYZ):
```
17
Properties=species:S:1:pos:R:3:nbo_charge:R:1
C 1.929 -0.743 -1.556 -0.43
N 1.657 -1.071 -0.128 -0.69
H 2.653 -1.431 -1.958 0.24
H 2.373 0.242 -1.648 0.24
H 1.020 -0.757 -2.134 0.24
H 1.824 -2.065 0.025 0.44
H 2.301 -0.566 0.476 0.43
H 0.664 -0.863 0.162 0.48
C -1.215 0.877 0.031 -0.07
O -0.927 -0.528 0.312 -0.78
C -1.594 1.620 1.301 -0.64
H -1.968 0.932 -0.745 0.19
H -0.284 1.262 -0.371 0.17
H -1.787 -0.915 0.509 0.51
H -0.720 1.971 1.855 0.22
H -2.127 0.944 1.963 0.22
H -2.206 2.484 1.061 0.24
```

* ΔE to the lowest compared entry with this formula, charge and spin: 0.7701 eV
* net charge: +1
* maximum force: 0.747 eV Å⁻¹
* electronic energy: -6836.6444 eV

* * * * *

Record 1
Computed, not measured: C21H27N3O5 in the gas phase, with ωB97M-V/def2-TZVPD.

Highest occupied orbital energy: -8.52 eV
Total energy: -1356.86909 Eh
SMILES: CCc1cc(CNC(=O)c2ccc(OC3CCN(C(C)=O)CC3)c(OC)c2)on1
Relative energy (zero: lowest compared OMol25 entry of this formula, charge and spin): 4.0309 eV
E_LUMO: 0.55 eV
HOMO-LUMO gap: 9.07 eV

Element x y z (Å)
1 C 8.040 -1.305 -2.260
2 H 7.206 -1.039 -2.905
3 H 8.838 -1.714 -2.876
4 H 7.709 -2.075 -1.567
5 C 8.539 -0.074 -1.504
6 C 7.463 0.501 -0.652
7 N 6.931 1.668 -0.898
8 O 5.982 1.894 0.043
9 C 5.929 0.841 0.880
10 C 6.849 -0.085 0.489
11 H 7.062 -1.031 0.938
12 C 4.936 0.881 1.995
13 N 3.589 1.050 1.501
14 C 2.682 0.040 1.542
15 O 2.934 -1.034 2.058
16 C 1.360 0.344 0.934
17 C 0.859 1.625 0.744
18 C -0.396 1.785 0.195
19 C -1.185 0.703 -0.192
20 C -0.678 -0.599 -0.003
21 C 0.575 -0.747 0.568
22 H 0.995 -1.724 0.742
23 O -1.446 -1.666 -0.396
24 C -0.966 -2.967 -0.150
25 H -1.748 -3.636 -0.508
26 H -0.042 -3.165 -0.701
27 H -0.800 -3.140 0.917
28 O -2.366 1.059 -0.759
29 C -3.473 0.171 -0.858
30 C -4.553 0.927 -1.647
31 C -5.562 1.576 -0.710
32 N -6.267 0.552 0.039
33 C -7.619 0.610 0.120
34 O -8.248 1.547 -0.335
35 C -8.295 -0.549 0.820
36 H -8.031 -1.493 0.349
37 H -9.369 -0.402 0.758
38 H -8.004 -0.585 1.868
39 C -5.474 -0.569 0.498
40 H -5.794 -0.859 1.503
41 C -3.995 -0.204 0.538
42 H -3.428 -1.045 0.935
43 H -3.847 0.648 1.204
44 H -5.614 -1.436 -0.165
45 H -5.053 2.266 -0.028
46 H -6.315 2.138 -1.267
47 H -5.074 0.239 -2.314
48 H -4.065 1.691 -2.252
49 H -3.178 -0.730 -1.405
50 H -0.809 2.770 0.045
51 H 1.412 2.500 1.050
52 H 3.410 1.866 0.938
53 H 4.961 -0.065 2.542
54 H 5.181 1.708 2.674
55 H 9.383 -0.353 -0.869
56 H 8.866 0.692 -2.207

***

Record 2
Computed, not measured: C3H7N5 in the gas phase, with ωB97M-V/def2-TZVPD.

Highest occupied orbital energy (alpha / beta): -7.67 / -7.79 eV
Total energy: -392.09843 Eh
SMILES: C/N=N/C=C\N=N\N
Relative energy (zero: lowest compared OMol25 entry of this formula, charge and spin): 5.4590 eV
E_LUMO (alpha / beta): -0.50 / -0.44 eV
HOMO-LUMO gap (alpha / beta): 7.16 / 7.35 eV

Element x y z (Å)
1 C -0.563 1.753 0.064
2 C 0.821 1.456 0.012
3 C -2.631 -1.097 -0.089
4 N -1.529 0.898 -0.025
5 N 1.226 0.216 -0.075
└──

Let’s raise the awareness of our ASDAR Chapters and our communities as to American Indians today as well as their heritage. “Where do I begin?” you ask…

_Quantum chemistry results that have nothing to do with the piece_
........
DFT (ωB97M-V with the def2-TZVPD basis set) results for a cluster of 2 separate species, C2H7N3O2 in total at a distorted geometry.

Summary:
E_HOMO (spin up / spin down), eV: -18.359 / -18.359
Orbital gap (spin up / spin down), eV: 9.59 / 9.59
Net charge: +2

Last columns: bonded neighbours and bond lengths (Å).
Cartesian coordinates (Å):
1 N 2.040 0.664 -1.117  H6 1.032, C9 1.324, O12 1.214
2 O -0.764 -0.095 1.084  C13 1.191
3 H -3.353 0.339 2.920  N4 1.126
4 N -2.752 -0.406 2.327  H3 1.126, H10 1.118, C13 1.509, H14 1.029
5 H -0.704 0.080 2.990  C13 1.052
6 H 2.678 1.448 -0.910  N1 1.032
7 N 2.170 -0.201 -3.392  H8 0.994, C9 1.289, H11 1.047
8 H 2.930 -0.835 -3.305  N7 0.994
9 C 1.778 0.536 -2.409  N1 1.324, N7 1.289
10 H -3.146 -0.610 1.301  N4 1.118
11 H 1.772 0.010 -4.338  N7 1.047
12 O 1.423 0.368 -0.115  N1 1.214
13 C -1.313 0.007 2.136  O2 1.191, N4 1.509, H5 1.052
14 H -2.760 -1.305 2.828  N4 1.029

***

DFT (ωB97M-V with the def2-TZVPD basis set) results for a cluster of 10 separate species, C41H62BN9O in total at a distorted geometry.

Summary:
E_HOMO, eV: -7.150
Orbital gap, eV: 3.96
Net charge: 0

Last columns: bonded neighbours and bond lengths (Å).
Cartesian coordinates (Å):
1 C 4.987 3.368 -1.642  C9 1.496, N14 1.416, H88 1.043
2 C 4.053 1.029 4.192  H7 1.011, C92 1.646, C112 1.513
3 H -1.158 4.270 0.934  B68 1.323
4 N 0.690 -2.757 4.020  C43 1.425, C76 1.360, H79 0.993
5 C -1.439 0.584 0.801  H45 1.150, C50 1.530, H60 0.915, C110 1.526
6 C -0.760 -5.654 -0.001  C48 1.547, C53 1.434, H66 1.082
7 H 4.239 0.093 3.858  C2 1.011
8 H 2.761 -0.385 -2.607  C93 0.984
9 C 5.715 2.100 -1.323  C1 1.496, C80 1.561, H113 1.042
10 H -6.450 2.097 0.733  C40 1.158
11 C 2.724 -2.593 3.023  C13 1.546, H37 1.165, C76 1.516
12 H 0.901 1.048 3.048  C16 1.036
13 C 1.825 -3.357 2.024  C11 1.546, H15 1.133, C43 1.499
14 N 4.320 3.108 -2.864  C1 1.416, C51 1.410, H101 1.182
15 H 2.000 -3.721 0.965  C13 1.133
16 C 0.488 1.437 2.181  H12 1.036, C50 1.576, C57 1.539, H89 1.104
17 C -3.621 -3.063 1.653  H21 1.114, C32 1.513, N109 1.318
18 H -1.007 -2.380 -3.686  C27 1.129
19 H -2.700 -0.379 -7.174  N47 1.042
20 H 2.278 3.677 5.665  C39 1.046
21 H -3.176 -3.724 2.431  C17 1.114
22 C -2.346 -1.467 -5.399  C27 1.599, N47 1.461, H69 1.034
23 H 2.661 2.750 1.910  C52 1.146
24 H -1.939 5.765 -0.176  B68 1.301
25 H 3.028 0.139 1.734  C96 1.028
26 H -0.257 -0.794 2.061  C50 1.225
27 C -1.100 -1.509 -4.398  H18 1.129, C22 1.599, C86 1.558
28 H -4.296 3.423 1.306  C114 1.090
29 H -1.772 -4.161 -3.032  C74 1.100
30 H -1.019 0.983 -2.586  C85 1.233
31 H -5.277 -0.451 0.042  C94 1.055
32 C -4.397 -1.779 1.846  C17 1.513, H67 0.981, C94 1.532
33 H -0.427 -3.723 2.163  C43 1.157
34 H 3.054 2.504 0.272  C52 0.977
35 C -0.274 -0.963 -0.861  H82 1.137, H98 1.082, H103 1.119, C110 1.563
36 H 0.264 -3.752 -1.308  C48 1.150
37 H 3.833 -2.395 2.727  C11 1.165
38 H 1.604 3.497 0.395  C52 1.139
39 C 2.920 3.019 5.166  H20 1.046, N64 1.381, C112 1.535
........
_Back to the piece_

  1. Please visit the American Indians Committee website at “”

Click on “committees” and navigate to “American Indians”. Print out all the information available to you and create a binder for easy reference for all your DAR Chapter meetings.

  1. Include the “American Indian Minutes for 2012-2013” to read to your ladies each meeting – saves looking it up every month!
  2. Make sure you include Bacone College and Chemawa Indian school information
  3. Next print the information on “Indian Youth of America Summer Camps”. I have ordered the documentary video about the summer camps and hope to have it available for you at the BOM in August.
  4. When printing scholarships, please note the new deadline date of Feb. 15.
  5. Last but not least…print the MQ page which shows you goals we need to reach this year…and it’s a “short” year for reporting. But we can do it!
  1. Please, dear Chapter Regent, retrieve and take home with you a free packet I plan to have available for your American Indian Committee Chairman. These will be available at the August BOM. We realize that the easier the committee work is, the more likely it is to be accomplished by busy ladies! We plan to have in your packet the following items:
  1. Brochures from Bacone College and Chemawa Indian School
  2. A tipi printout in color to wrap around a pint jar to make it easy to collect pocket change for the NSDAR approved American Indian scholarships–Do this when giving your committee “Minute” at Chapter meetings.
  3. A Native American Heritage Recognition Month (November) Proclamation with blue border on a parchment type paper ready to use …or ready to copy.
  4. A copy of the documentary video on the summer camps per above
  5. A copy of the American Indian Minute page to assist committee chairman who might not have a printer at her disposal
  6. A program I have written called “Today’s American Indian”… based on my 20 years of working with American Indians from over 150 Tribes/Nations and reservations…especially today’s young Natives.

Please contact me with any questions and ideas: Karen S. Hutchcraft, ASDAR American Indian State Chairman; ; 1-870-416-2900; PO Box 1622, Harrison, AR, 72602-1622 - Enjoy this special committee you chair!